Entries >
=====
Record 1
First-principles (PBE with a Hubbard U) data for a geometry-optimized Li3Fe5O12 structure, as listed in the Materials Project database.

abc: 5.0115 5.3541 7.3701
angles: 94.90 90.04 90.53
Fractional coordinates of all 20 atoms:
O1 0.3236 0.1603 0.9588
O2 0.3771 0.4712 0.2563
O3 0.6567 0.4603 0.7592
O4 0.8244 0.6548 0.4662
O5 0.7009 0.7753 0.0839
O6 0.2913 0.7760 0.5845
O7 0.1823 0.3081 0.5943
O8 0.8804 0.9441 0.7632
O9 0.1775 0.6534 0.9411
O10 0.8056 0.2784 0.0838
O11 0.1253 0.9659 0.2562
O12 0.6559 0.1533 0.4562
Li1 0.9999 0.5727 0.2155
Li2 0.5014 0.0634 0.2084
Li3 0.5001 0.0602 0.7201
Fe1 0.0002 0.9956 0.0159
Fe2 0.9889 0.0073 0.4943
Fe3 0.0019 0.6009 0.7067
Fe4 0.5083 0.4796 0.0094
Fe5 0.4983 0.4784 0.4964

Properties
**Energy relative to the elements**: -1.45 eV/atom
**Mass density**: 4.15 g cm⁻³
**VASP energy**: -5.85 eV per atom
**ΔE to the lowest computed polymorph**: 1 kJ/mol of formula units

---

Record 2
First-principles (PBE with a Hubbard U) data for a geometry-optimized Li5Fe5O12 structure, as listed in the Materials Project database.

abc: 5.0964 5.1005 19.7110
angles: 92.35 93.27 119.52
Fractional coordinates of all 44 atoms:
O1 0.2332 0.7224 0.0715
O2 0.9903 0.8418 0.5723
O3 0.2982 0.8092 0.4326
O4 0.0986 0.2683 0.8200
O5 0.5090 0.0411 0.1804
O6 0.7089 0.2360 0.5707
O7 0.6449 0.4527 0.4294
O8 0.8578 0.0106 0.0735
O9 0.0167 0.5417 0.6794
O10 0.1553 0.9787 0.9296
O11 0.2975 0.1076 0.3204
O12 0.8940 0.7465 0.1757
O13 0.3405 0.4829 0.5728
O14 0.9747 0.1492 0.4282
O15 0.9410 0.4548 0.3174
O16 0.7965 0.6056 0.8222
O17 0.4117 0.2592 0.6782
O18 0.4572 0.6421 0.9281
O19 0.4697 0.3261 0.0695
O20 0.4429 0.9496 0.8179
O21 0.8118 0.2987 0.9322
O22 0.7693 0.9091 0.6772
O23 0.6013 0.7780 0.3218
O24 0.2696 0.4065 0.1786
Li1 0.3508 0.1635 0.5022
Li2 0.2399 0.7377 0.2481
Li3 0.0950 0.9061 0.7474
Li4 0.5873 0.4013 0.2476
Li5 0.1552 0.3435 0.0026
Li6 0.7458 0.2444 0.7477
Li7 0.0085 0.5119 0.5023
Li8 0.8729 0.3758 0.1251
Li9 0.3777 0.8737 0.6251
Li10 0.5035 0.0162 0.0025
Fe1 0.2072 0.0460 0.1249
Fe2 0.5544 0.7178 0.1248
Fe3 0.1273 0.6242 0.8749
Fe4 0.2901 0.4615 0.3750
Fe5 0.9598 0.7917 0.3748
Fe6 0.4610 0.2889 0.8752
Fe7 0.7928 0.9591 0.8750
Fe8 0.6283 0.1229 0.3750
Fe9 0.0452 0.2056 0.6251
Fe10 0.7088 0.5418 0.6250

Properties
**Energy relative to the elements**: -1.71 eV/atom
**Mass density**: 3.79 g cm⁻³
**VASP energy**: -5.88 eV per atom
**ΔE to the lowest computed polymorph**: 0 kJ/mol of formula units

---

Record 3
First-principles (PBE with a Hubbard U) data for a geometry-optimized LiFe3O4 structure, as listed in the Materials Project database.

abc: 3.0619 5.1763 5.2106
angles: 107.15 90.62 89.98
Fractional coordinates of all 8 atoms:
O1 0.4893 0.7637 0.7761
O2 0.0060 0.7579 0.2535
O3 0.5107 0.2363 0.2239
O4 0.9940 0.2421 0.7465
Fe1 0.5000 0.0000 0.5000
Fe2 0.0000 0.0000 0.0000
Fe3 0.0000 0.5000 0.5000
Li1 0.5000 0.5000 0.0000

Properties
**Energy relative to the elements**: -1.67 eV/atom
**Mass density**: 5.02 g cm⁻³
**VASP energy**: -6.37 eV per atom

---

Record 4
First-principles (PBE with a Hubbard U) data for a geometry-optimized Li5Fe4O8 structure, as listed in the Materials Project database.

abc: 6.0747 6.0747 6.0747
angles: 59.88 59.88 59.88
Fractional coordinates of all 17 atoms:
O1 0.2596 0.7373 0.7373
O2 0.2337 0.7301 0.2337
O3 0.7373 0.7373 0.2596
O4 0.7301 0.2337 0.2337
O5 0.2337 0.2337 0.7301
O6 0.7343 0.7343 0.7343
O7 0.2483 0.2483 0.2483
O8 0.7373 0.2596 0.7373
Li1 0.5534 0.9655 0.9655
Li2 0.1247 0.1247 0.1247
Li3 0.4914 0.4914 0.4914
Li4 0.9655 0.9655 0.5534
Li5 0.9655 0.5534 0.9655
Fe1 0.4903 0.9906 0.4903
Fe2 0.4903 0.4903 0.9906
Fe3 0.9777 0.9777 0.9777
Fe4 0.9906 0.4903 0.4903

Properties
**Energy relative to the elements**: -1.85 eV/atom
**Mass density**: 4.06 g cm⁻³
**VASP energy**: -5.88 eV per atom
**Maximum piezoelectric response**: 0.64 C/m²

---

Record 5
=====

Assignment >
Echo every line earlier on that contains the word "O9".

Response >
O9 0.1775 0.6534 0.9411
O9 0.0167 0.5417 0.6794